To do
It remains to transcribe the calculation results below character by character.
Listing
........
The following is a DFT calculation (the ωB97M-V functional and the def2-TZVPD basis) of a molecular structure, C52H42ClF3IMoN4O5S3.

Computed properties:
Total energy (eV): -133930.034
Maximum force (eV Å⁻¹): 5.489
Net charge: -1
<S²>: 2.0090
HOMO-LUMO gap (spin up / spin down) (eV): 4.17 / 4.09
Spin multiplicity: 3
Energy above the lowest of the compared OMol25 structures with the same formula, charge and spin (kJ/mol): 0.00

Each line ends with the Mulliken spin population.
Cartesian coordinates (Å):
Mo: -2.392 2.949 -0.378  0.9738
O: 5.918 -4.390 8.712  0.0000
C: 5.597 -2.993 8.351  0.0000
C: 6.855 -2.189 7.890  0.0000
O: 6.578 -1.053 7.419  0.0000
O: 8.028 -2.717 8.002  0.0000
C: 4.565 -3.003 7.145  0.0000
C: 4.261 -4.205 6.524  0.0000
C: 3.225 -4.416 5.628  0.0000
C: 2.372 -3.380 5.470  0.0000
C: 2.624 -2.188 6.111  0.0000
C: 3.781 -1.867 6.740  0.0000
C: 4.705 -2.345 9.415  0.0000
C: 3.561 -2.985 9.941  0.0000
C: 2.822 -2.406 10.879  0.0000
C: 3.193 -1.073 11.308  0.0000
C: 4.257 -0.435 10.780  0.0000
C: 5.042 -1.095 9.799  0.0000
H: 6.890 -4.426 8.745  0.0000
H: 4.865 -5.086 6.872  0.0000
H: 2.989 -5.455 5.354  0.0000
H: 1.551 -3.391 4.726  0.0000
H: 1.966 -1.336 5.886  0.0000
H: 3.851 -0.899 7.173  0.0000
H: 3.448 -4.068 9.710  0.0000
H: 2.063 -2.963 11.385  0.0000
H: 2.621 -0.590 12.125  0.0000
H: 4.521 0.548 11.103  0.0000
H: 5.989 -0.683 9.426  0.0000
N: -1.496 2.269 0.914  -0.0374
S: 2.801 0.072 1.915  0.0000
N: 0.548 0.886 -3.672  0.0001
S: -0.181 1.545 -4.643  0.0055
N: -1.866 1.645 -4.646  -0.0011
S: -2.663 1.538 -3.282  0.0123
N: -2.172 1.895 -1.892  -0.0621
C: -4.098 2.467 -3.926  0.0040
C: -3.775 3.662 -4.654  -0.0022
C: -4.724 4.680 -4.752  0.0004
C: -6.020 4.464 -4.417  0.0007
C: -6.378 3.264 -3.795  0.0011
C: -5.401 2.271 -3.459  -0.0048
C: -3.255 -0.098 -3.161  -0.0023
C: -2.929 -0.951 -4.201  0.0030
C: -3.345 -2.233 -4.230  -0.0087
C: -3.766 -2.795 -3.063  -0.0007
C: -4.136 -1.929 -1.994  0.0053
C: -3.838 -0.608 -1.968  0.0287
C: 0.238 3.356 -4.788  -0.0022
C: -0.296 4.231 -3.911  -0.0142
C: -0.042 5.580 -3.897  0.0029
C: 0.803 6.067 -4.884  0.0004
C: 1.393 5.185 -5.782  -0.0001
C: 1.088 3.843 -5.782  -0.0001
C: -0.088 0.893 -6.356  -0.0008
C: 0.890 0.087 -6.893  0.0002
C: 0.702 -0.575 -8.050  0.0002
C: -0.453 -0.472 -8.719  0.0000
C: -1.491 0.248 -8.123  0.0008
C: -1.342 0.972 -6.959  -0.0005
C: 1.364 -0.815 1.444  -0.0011
C: 1.163 -0.755 0.091  0.0025
C: 0.006 -1.260 -0.377  -0.0010
C: -0.853 -1.949 0.467  0.0014
C: -0.565 -1.990 1.859  -0.0010
C: 0.544 -1.393 2.355  -0.0001
C: 2.206 1.849 2.057  0.0016
C: 1.712 2.401 0.925  -0.0004
C: 1.501 3.757 0.907  0.0059
C: 1.966 4.634 1.889  0.0041
C: 2.564 4.010 2.991  0.0000
C: 2.550 2.626 3.176  0.0001
H: -2.756 3.903 -4.980  -0.0003
H: -4.343 5.619 -5.128  -0.0002
H: -6.792 5.201 -4.522  0.0000
H: -7.368 2.989 -3.514  -0.0005
H: -5.574 1.390 -2.912  -0.0006
H: -2.512 -0.512 -5.102  0.0008
H: -3.011 -2.890 -5.019  0.0044
H: -3.751 -3.891 -2.883  0.0009
H: -4.491 -2.455 -1.142  0.0004
H: -4.041 -0.008 -1.159  -0.0297
H: -1.010 3.814 -3.255  0.0109
H: -0.565 6.151 -3.158  0.0013
H: 1.120 7.103 -4.806  0.0000
H: 2.018 5.444 -6.613  0.0000
H: 1.394 3.165 -6.552  0.0000
H: 1.817 0.033 -6.323  0.0000
H: 1.600 -1.096 -8.393  0.0000
H: -0.485 -0.957 -9.698  0.0000
H: -2.484 0.326 -8.652  0.0000
H: -2.192 1.507 -6.554  0.0000
H: 1.670 -0.218 -0.709  0.0005
H: -0.293 -0.951 -1.411  -0.0019
H: -1.906 -2.069 0.189  0.0007
H: -1.310 -2.389 2.520  0.0000
H: 0.648 -1.230 3.383  0.0003
H: 1.525 1.705 0.067  0.0027
H: 0.949 3.973 -0.018  -0.0128
H: 1.749 5.661 1.962  0.0002
H: 2.931 4.510 3.865  -0.0001
H: 3.041 2.235 4.129  0.0001
Cl: -1.787 5.186 -0.755  0.0565
F: -3.405 -5.899 -8.679  0.0615
C: -4.061 -5.589 -7.471  0.8146
F: -4.482 -6.667 -6.944  0.0608
F: -5.061 -4.641 -7.645  0.0622
C: -4.500 -9.481 0.036  0.0000
O: -4.614 -10.099 -0.928  0.0000
O: -4.469 -8.824 0.946  0.0000
H: -2.564 1.864 0.885  0.0113
I: -5.247 3.655 -0.010  0.0420

=====

(1)
........
Response
The following is a DFT calculation (the ωB97M-V functional and the def2-TZVPD basis) of a molecular structure, C52H42ClF3IMoN4O5S3.

Computed properties:
Total energy (eV): -133930.034
Maximum force (eV Å⁻¹): 5.489
Net charge: -1
<S²>: 2.0090
HOMO-LUMO gap (spin up / spin down) (eV): 4.17 / 4.09
Spin multiplicity: 3
Energy above the lowest of the compared OMol25 structures with the same formula, charge and spin (kJ/mol): 0.00

Each line ends with the Mulliken spin population.
Cartesian coordinates (Å):
Mo: -2.392 2.949 -0.378  0.9738
O: 5.918 -4.390 8.712  0.0000
C: 5.597 -2.993 8.351  0.0000
C: 6.855 -2.189 7.890  0.0000
O: 6.578 -1.053 7.419  0.0000
O: 8.028 -2.717 8.002  0.0000
C: 4.565 -3.003 7.145  0.0000
C: 4.261 -4.205 6.524  0.0000
C: 3.225 -4.416 5.628  0.0000
C: 2.372 -3.380 5.470  0.0000
C: 2.624 -2.188 6.111  0.0000
C: 3.781 -1.867 6.740  0.0000
C: 4.705 -2.345 9.415  0.0000
C: 3.561 -2.985 9.941  0.0000
C: 2.822 -2.406 10.879  0.0000
C: 3.193 -1.073 11.308  0.0000
C: 4.257 -0.435 10.780  0.0000
C: 5.042 -1.095 9.799  0.0000
H: 6.890 -4.426 8.745  0.0000
H: 4.865 -5.086 6.872  0.0000
H: 2.989 -5.455 5.354  0.0000
H: 1.551 -3.391 4.726  0.0000
H: 1.966 -1.336 5.886  0.0000
H: 3.851 -0.899 7.173  0.0000
H: 3.448 -4.068 9.710  0.0000
H: 2.063 -2.963 11.385  0.0000
H: 2.621 -0.590 12.125  0.0000
H: 4.521 0.548 11.103  0.0000
H: 5.989 -0.683 9.426  0.0000
N: -1.496 2.269 0.914  -0.0374
S: 2.801 0.072 1.915  0.0000
N: 0.548 0.886 -3.672  0.0001
S: -0.181 1.545 -4.643  0.0055
N: -1.866 1.645 -4.646  -0.0011
S: -2.663 1.538 -3.282  0.0123
N: -2.172 1.895 -1.892  -0.0621
C: -4.098 2.467 -3.926  0.0040
C: -3.775 3.662 -4.654  -0.0022
C: -4.724 4.680 -4.752  0.0004
C: -6.020 4.464 -4.417  0.0007
C: -6.378 3.264 -3.795  0.0011
C: -5.401 2.271 -3.459  -0.0048
C: -3.255 -0.098 -3.161  -0.0023
C: -2.929 -0.951 -4.201  0.0030
C: -3.345 -2.233 -4.230  -0.0087
C: -3.766 -2.795 -3.063  -0.0007
C: -4.136 -1.929 -1.994  0.0053
C: -3.838 -0.608 -1.968  0.0287
C: 0.238 3.356 -4.788  -0.0022
C: -0.296 4.231 -3.911  -0.0142
C: -0.042 5.580 -3.897  0.0029
C: 0.803 6.067 -4.884  0.0004
C: 1.393 5.185 -5.782  -0.0001
C: 1.088 3.843 -5.782  -0.0001
C: -0.088 0.893 -6.356  -0.0008
C: 0.890 0.087 -6.893  0.0002
C: 0.702 -0.575 -8.050  0.0002
C: -0.453 -0.472 -8.719  0.0000
C: -1.491 0.248 -8.123  0.0008
C: -1.342 0.972 -6.959  -0.0005
C: 1.364 -0.815 1.444  -0.0011
C: 1.163 -0.755 0.091  0.0025
C: 0.006 -1.260 -0.377  -0.0010
C: -0.853 -1.949 0.467  0.0014
C: -0.565 -1.990 1.859  -0.0010
C: 0.544 -1.393 2.355  -0.0001
C: 2.206 1.849 2.057  0.0016
C: 1.712 2.401 0.925  -0.0004
C: 1.501 3.757 0.907  0.0059
C: 1.966 4.634 1.889  0.0041
C: 2.564 4.010 2.991  0.0000
C: 2.550 2.626 3.176  0.0001
H: -2.756 3.903 -4.980  -0.0003
H: -4.343 5.619 -5.128  -0.0002
H: -6.792 5.201 -4.522  0.0000
H: -7.368 2.989 -3.514  -0.0005
H: -5.574 1.390 -2.912  -0.0006
H: -2.512 -0.512 -5.102  0.0008
H: -3.011 -2.890 -5.019  0.0044
H: -3.751 -3.891 -2.883  0.0009
H: -4.491 -2.455 -1.142  0.0004
H: -4.041 -0.008 -1.159  -0.0297
H: -1.010 3.814 -3.255  0.0109
H: -0.565 6.151 -3.158  0.0013
H: 1.120 7.103 -4.806  0.0000
H: 2.018 5.444 -6.613  0.0000
H: 1.394 3.165 -6.552  0.0000
H: 1.817 0.033 -6.323  0.0000
H: 1.600 -1.096 -8.393  0.0000
H: -0.485 -0.957 -9.698  0.0000
H: -2.484 0.326 -8.652  0.0000
H: -2.192 1.507 -6.554  0.0000
H: 1.670 -0.218 -0.709  0.0005
H: -0.293 -0.951 -1.411  -0.0019
H: -1.906 -2.069 0.189  0.0007
H: -1.310 -2.389 2.520  0.0000
H: 0.648 -1.230 3.383  0.0003
H: 1.525 1.705 0.067  0.0027
H: 0.949 3.973 -0.018  -0.0128
H: 1.749 5.661 1.962  0.0002
H: 2.931 4.510 3.865  -0.0001
H: 3.041 2.235 4.129  0.0001
Cl: -1.787 5.186 -0.755  0.0565
F: -3.405 -5.899 -8.679  0.0615
C: -4.061 -5.589 -7.471  0.8146
F: -4.482 -6.667 -6.944  0.0608
F: -5.061 -4.641 -7.645  0.0622
C: -4.500 -9.481 0.036  0.0000
O: -4.614 -10.099 -0.928  0.0000
O: -4.469 -8.824 0.946  0.0000
H: -2.564 1.864 0.885  0.0113
I: -5.247 3.655 -0.010  0.0420

=====

(1)